The Best Star Wars Reads of the Disney Era
by James WhitbrookOne of the biggest joys – well, beyond “More Star Wars than any reasonable person would know what to do with, for better or worse” – since Disney’s acquisition of Star Wars has been watching Lucasfilm’s publishing initiatives thrive in a rebooted world of interconnected stories. Some of the best Star Wars in years is happening in pages of books and comics, and these are what you should be checking out.
The Best Star Wars Books...

Yrica Quell, the unlikely hero of the New Republic in Alphabet Squadron. Image: Del Rey
Alphabet Squadron – If you miss the X-Wing novels of the old EU, or, rather you specifically miss the stories of Wedge Antilles’ Wraith Squadron in those novels, Alexander Freed’s opening to what is becoming a trilogy of novels is perfect for you. Set in the wake of Return of the Jedi, Alphabet Squadron sees a desperate New Republic Intelligence officer recruit a defecting Imperial Pilot to create a ragtag group of traumatized starfighter aces on a bold mission: take down said defector’s former unit.
Queen’s Shadow – Ever wondered how the stoic queen of The Phantom Menace became the Senator Amidala we met in Attack of the Clones? E.K. Johnston’s examination of Padmé is that, and so much more. It charts that arc in a fascinating manner as the young woman has to navigate her sense of duty and the ramification of her actions with the Senate in Episode I, but also dives deep into Padmé trying to find a sense of herself in a world where she is expected to lead in a very different manner.
The Thrawn Trilogy – Grand Admiral Thrawn is one of the greatest Star Wars characters to come out of the Expanded Universe, which is why his re-canonisation via the animated series Star Wars Rebels was one of the most incredible announcements about the series, full stop. But it also meant another beloved return: Timothy Zahn, the iconic author who fundamentally helped shape the original Expanded Universe, returned to his blue-skinned tactician creation for a trio of new novels that flesh out Thrawn’s early years in the Empire.
It’s essential reading whether you loved Zahn’s prior Star Wars work or not, and even better news? We’re getting another trilogy starting later this year that dives back even further into the origins of the mysterious isolationist society of the Chiss Ascendancy that Thrawn left behind.

Here the text breaks off for crystal structures:
-- begin --
Record 1
A plane-wave DFT calculation with PBE-GGA was carried out for a relaxed structure of MnReSi2.

total DFT energy (no corrections) = -32.60 eV/cell
formation energy without anion corrections = -0.03 eV per atom
DOS at the Fermi energy = 0.650 states/eV/atom
calculated volume = 52.26 Å³ per cell

```
data_MnReSi2
_cell_length_a 2.770
_cell_length_b 3.777
_cell_length_c 4.994
_cell_angle_alpha 90.00
_cell_angle_beta 90.86
_cell_angle_gamma 90.00
_space_group_name_H-M_alt 'P 1 2/m 1'
_space_group_IT_number 10
_space_group_name_Hall '-P 2y'
loop_
_atom_site_label
_atom_site_type_symbol
_atom_site_fract_x
_atom_site_fract_y
_atom_site_fract_z
Mn1 Mn 0.000 0.000 0.000
Re1 Re 0.500 0.000 0.500
Si1 Si 0.028 0.500 0.745
```



Record 2
A plane-wave DFT calculation with PBE-GGA was carried out for a relaxed structure of MnRe2Si.

total DFT energy (no corrections) = -39.86 eV/cell
formation energy without anion corrections = -0.09 eV per atom
DOS at the Fermi energy = 0.802 states/eV/atom
calculated volume = 53.24 Å³ per cell

```
data_MnRe2Si
_cell_length_a 2.948
_cell_length_b 2.948
_cell_length_c 6.125
_cell_angle_alpha 90.00
_cell_angle_beta 90.00
_cell_angle_gamma 90.00
_space_group_name_H-M_alt 'P 4/m m m'
_space_group_IT_number 123
_space_group_name_Hall '-P 4 2'
loop_
_atom_site_label
_atom_site_type_symbol
_atom_site_fract_x
_atom_site_fract_y
_atom_site_fract_z
Mn1 Mn 0.000 0.000 0.000
Re1 Re 0.500 0.500 0.257
Si1 Si 0.000 0.000 0.500
```



Record 3
A plane-wave DFT calculation with PBE-GGA was carried out for a relaxed structure of MnReSi2.

total DFT energy (no corrections) = -66.82 eV/cell
formation energy without anion corrections = -0.24 eV per atom
DOS at the Fermi energy = 0.678 states/eV/atom
calculated volume = 101.57 Å³ per cell

```
data_MnReSi2
_cell_length_a 8.632
_cell_length_b 2.905
_cell_length_c 4.254
_cell_angle_alpha 90.00
_cell_angle_beta 107.82
_cell_angle_gamma 90.00
_space_group_name_H-M_alt 'C 1 m 1'
_space_group_IT_number 8
_space_group_name_Hall 'C -2y'
loop_
_atom_site_label
_atom_site_type_symbol
_atom_site_fract_x
_atom_site_fract_y
_atom_site_fract_z
Mn1 Mn 0.000 0.000 0.000
Re1 Re 0.245 0.000 0.632
Si1 Si 0.242 0.500 0.136
Si2 Si 0.497 0.000 0.481
```



Record 4
A plane-wave DFT calculation with PBE-GGA was carried out for a relaxed structure of MnReSi2.

total DFT energy (no corrections) = -99.27 eV/cell
formation energy without anion corrections = -0.16 eV per atom
DOS at the Fermi energy = 0.818 states/eV/atom
calculated volume = 154.21 Å³ per cell

```
data_MnReSi2
_cell_length_a 2.8026
_cell_length_b 2.8026
_cell_length_c 22.6704
_cell_angle_alpha 90.00
_cell_angle_beta 90.00
_cell_angle_gamma 120.00
_space_group_name_H-M_alt 'R 3 m'
_space_group_IT_number 160
_space_group_name_Hall 'R 3 -2"'
loop_
_atom_site_label
_atom_site_type_symbol
_atom_site_fract_x
_atom_site_fract_y
_atom_site_fract_z
Mn1 Mn 0.0000 0.0000 0.0000
Re1 Re 0.0000 0.0000 0.8374
Si1 Si 0.0000 0.0000 0.4135
-- stop --
Here the text continues:

The cover to Leia, Princess of Alderaan. Image: Lucasfilm Press
Leia, Princess of Alderaan – Claudia Gray takes a similar approach to Johnston’s handling of Padmé in Queen’s Shadow, choosing not to prioritise factoids about the young Leia’s life but instead dive deep into how the young woman, who grew into an icon of the Rebellion, coped with the demands of life as the daughter of a senator swept up in the encroaching tyranny of the Galactic Empire.
Dooku: Jedi Lost – OK, so this is technically a listen, but you can also now read Cavan Scott’s excellent audiobook that charts Dooku’s time as a Jedi as well. It follows him all the way from prospective Padawan to the dismayed Master who left the order to rule his homeworld, and it’s a rare story set in an era of Star Wars not nearly examined enough in this new canon. It not only sows the seeds for Dooku’s eventual embrace of the Dark Side, but makes his journey from Jedi to Sith completely understandable, examining some of the rot in the upper echelons of the Jedi Order in a time before that truly becomes clear in the prequels.
Honestly though? Go for the audio version before the book if you can. The story’s great either way, but it was made as an audio experience first and foremost, and it’s a really fun way to hear a Star Wars story.
Master and Apprentice – As intriguing as it has been to see Star Wars publishing chart the future of the saga between the original and sequel movies, some of its absolute best work has been tales that go back to the time before the prequels instead. Case in point, another Claudia Gray entry here, which delves into the uneasy relationship between a young Obi-Wan Kenobi and Qui-Gon Jinn. Here, Kenobi is already stuck in his ways as a more literal follower of the Jedi Order’s teachings while Jinn likewise is beginning to doubt his own path that, as a more esoteric interpreter of those rules, he is the best person to be a Master. Both are tasked with dealing with those issues while on a diplomatic mission that quickly goes awry.

┌──
[1]
# Ac4SnS3 (GGA-PBE, optimized geometry)
# - Density of states at the Fermi level: 6.64 states/eV/cell
# - Total magnetization: 0.000 μB/atom
# - E_form (uncorrected): -1655 meV per atom
data_Ac4SnS3
_chemical_formula_sum 'Ac8 Sn2 S6'
_symmetry_space_group_name_H-M 'I 4/m m m'
_symmetry_Int_Tables_number 139
_symmetry_space_group_name_Hall '-I 4 2'
_cell_length_a 6.319
_cell_length_b 6.319
_cell_length_c 12.598
_cell_angle_alpha 90.00
_cell_angle_beta 90.00
_cell_angle_gamma 90.00
loop_
_atom_site_label
_atom_site_type_symbol
_atom_site_fract_x
_atom_site_fract_y
_atom_site_fract_z
Ac1 Ac 0.000 0.000 0.241
Ac2 Ac 0.000 0.500 0.000
Sn1 Sn 0.000 0.000 0.500
S1 S 0.000 0.000 0.000
S2 S 0.000 0.500 0.250


[2]
# Ac7SnS5 (GGA-PBE, optimized geometry)
# - Density of states at the Fermi level: 36.61 states/eV/cell
# - Total magnetization: 0.031 μB/atom
# - E_form (uncorrected): -1640 meV per atom
data_Ac7SnS5
_chemical_formula_sum 'Ac28 Sn4 S20'
_symmetry_space_group_name_H-M 'C 1 2/m 1'
_symmetry_Int_Tables_number 12
_cell_length_a 14.139
_cell_length_b 4.441
_cell_length_c 25.861
_cell_angle_alpha 90.00
_cell_angle_beta 90.05
_cell_angle_gamma 90.00
loop_
_symmetry_equiv_pos_as_xyz
'x,y,z'
'-x,-y,-z'
'-x,y,-z'
'x,-y,z'
'x+1/2,y+1/2,z'
'-x+1/2,-y+1/2,-z'
'-x+1/2,y+1/2,-z'
'x+1/2,-y+1/2,z'
loop_
_atom_site_label
_atom_site_type_symbol
_atom_site_fract_x
_atom_site_fract_y
_atom_site_fract_z
Ac1 Ac 0.029 0.000 0.250
Ac2 Ac 0.096 0.500 0.391
Ac3 Ac 0.097 0.500 0.109
Ac4 Ac 0.135 0.000 0.536
Ac5 Ac 0.135 0.000 0.964
Ac6 Ac 0.177 0.500 0.673
Ac7 Ac 0.177 0.500 0.827
Sn1 Sn 0.205 0.500 0.250
S1 S 0.000 0.500 0.000
S2 S 0.000 0.500 0.500
S3 S 0.039 0.000 0.861
S4 S 0.040 0.000 0.639
S5 S 0.230 0.000 0.069
S6 S 0.230 0.000 0.431


[3]
# AcSnS (GGA-PBE, optimized geometry)
# - Density of states at the Fermi level: 3.15 states/eV/cell
# - Total magnetization: 0.000 μB/atom
# - E_form (uncorrected): -1295 meV per atom
data_AcSnS
_chemical_formula_sum 'Ac2 Sn2 S2'
_symmetry_space_group_name_H-M 'P 4/n m m'
_symmetry_Int_Tables_number 129
_cell_length_a 4.113
_cell_length_b 4.113
_cell_length_c 10.337
_cell_angle_alpha 90.00
_cell_angle_beta 90.00
_cell_angle_gamma 90.00
loop_
_symmetry_equiv_pos_as_xyz
'x,y,z'
'-x,-y,-z'
'-y+1/2,x,z'
'y+1/2,-x,-z'
'-x+1/2,-y+1/2,z'
'x+1/2,y+1/2,-z'
'y,-x+1/2,z'
'-y,x+1/2,-z'
'x+1/2,-y,-z'
'-x+1/2,y,z'
'-y,-x,-z'
'y,x,z'
'-x,y+1/2,-z'
'x,-y+1/2,z'
'y+1/2,x+1/2,-z'
'-y+1/2,-x+1/2,z'
loop_
_atom_site_label
_atom_site_type_symbol
_atom_site_fract_x
_atom_site_fract_y
_atom_site_fract_z
Ac1 Ac 0.250 0.250 0.189
Sn1 Sn 0.250 0.250 0.555
S1 S 0.250 0.250 0.893


[4]
# Ac3SnS6 (GGA-PBE, optimized geometry)
# - Density of states at the Fermi level: 6.77 states/eV/cell
# - Total magnetization: 0.000 μB/atom
# - E_form (uncorrected): -1716 meV per atom
data_Ac3SnS6
_chemical_formula_sum 'Ac12 Sn4 S24'
_symmetry_space_group_name_H-M 'C m c 21'
_symmetry_Int_Tables_number 36
_cell_length_a 11.574
_cell_length_b 14.261
_cell_length_c 7.137
└──

A Star Destroyer falls to Jakku on Lost Stars’ cover. Image: Lucasfilm Press
Lost Stars – Boy, Claudia Gray! She just keeps writing good Star Wars! This is actually her first contribution to the Disney era, and she hit the ground running with something completely unexpected. Lost Stars is a young adult romance that goes all the way across the timeline of the Rise of the Empire up to the Battle of Jakku that ended the Galactic Civil War, as two young paramours find themselves on opposing sides of Star Wars’ grand conflict.
Bloodline – OK, I promise, this is the last Claudia Gray recommendation here. I can’t help it! She writes good Star Wars! And this – the tale of how Leia founded the Resistance and how the New Republic succumbed to the rise of the First Order – is very good Star Wars, not just fleshing out a vital part of the universe from a political perspective, but reminding us why we love Leia Organa, whether she’s got a blaster in hand commanding armies, or playing wars of words in the equally deadly political arena.
From a Certain Point of View – Released for A New Hope’s 40th anniversary, this delightful anthology dives deep into practically every facet of the original Star Wars, telling tales interwoven through almost every scene of the movie to make its world feel even bigger and richer than ever. Come for the story of just how the Dianoga got on the Death Star, stay for the surprisingly tragic reason Wuher the Mos Eisley Cantina bartender hates droids so much.
...And the Best Star Wars Comics

Next to the piece, the page also holds calculated crystals:
No. 1
The following is a DFT calculation (GGA-PBE) of an optimized crystal structure of CsFeNi3.

```
CsFeNi3
1.0
4.764 0.000 0.000
0.000 4.764 0.000
0.000 0.000 4.764
Cs Fe Ni
1 1 3
Cartesian
0.000 0.000 0.000
2.382 2.382 2.382
0.000 0.000 2.382
0.000 2.382 0.000
2.382 0.000 0.000
```

The value obtained for the final energy is -14.70 eV per formula unit. The theoretical density is 5.6 g/cm³. The calculation puts the magnetic moment at 3.83 μB per formula unit. The formation enthalpy at 0 K is 2.39 eV/atom. As for the space group: Pm-3m.



No. 2
The following is a DFT calculation (GGA-PBE) of an optimized crystal structure of CsFe2NiSe4.

```
CsFe2NiSe4
1.0
-1.851 4.203 6.670
1.851 -4.203 6.670
1.851 4.203 -6.670
Cs Fe Ni Se
1 2 1 4
Cartesian
0.000 0.000 0.000
1.851 0.000 4.958
0.000 4.203 1.712
0.000 0.000 6.670
1.851 2.630 -1.839
1.851 2.630 1.839
0.000 1.573 4.831
0.000 1.573 8.509
```

The value obtained for the final energy is -40.04 eV per formula unit. The value obtained for the uncorrected formation energy is -2.54 eV/f.u. The theoretical density is 5.0 g/cm³. The calculation puts the magnetic moment at 6.38 μB per formula unit. As for the space group: Immm.



Which of these has the lowest theoretical density? CsFe2NiSe4

The cover of the debut issue in Vader’s third and most recent ongoing series. Image: InHyuk Lee (Marvel Comics)
Darth Vader (Volumes 1, 2, and 3) – Look, let’s be honest: At some point, we all stopped being afraid of Darth Vader. He’s significantly less of a terrifying, tragic Frankenstein’s monster when he’s out there as bobbleheads, plush toys, sat-nav voices, and the litany of other crossovers that capitalise on his imagery as an iconic design, more so than just how horrifying and heartbreaking that very design is to the man underneath its visage. Let these two separate comic runs fix that for you.
One is set during the events that take place after A New Hope (by Kieron Gillen and Salvador Larocca), the other during the rise of the Empire (by Charles Soule and Giuseppe Camuncoli), but both are vital, incredible pieces of storytelling about Darth Vader, about Anakin Skywalker, and even about the power of the Force itself. Easily the best Star Wars comics Marvel has to offer, and the current third volume is proving to be just as good.
Doctor Aphra – You may have not really heard Doctor Aphra’s name before. She’s an entirely new creation in this era of Star Wars, an archaeologist/smuggler introduced in Gillen and Larocca’s Vader book as a wary accomplice to the Dark Lord. And she became so popular she’s spun out her own series of roguish adventures. If you like both ancient Star Wars mythos and some good ol’ fashioned space cowboying, Aphra should be right up your alle.
Lando – This is maybe the shortest read on the list, as Charles Soule and Alex Maleev’s series was “just” a five-issue miniseries. But in those five issues they delivered a great story that gave Lando not just a suitably swashbuckling adventure to go on, but really fleshed out his relationship with Lobot in ways that have rarely been examined since.

The cover to the history-making comic that started this new era off. Image: John Cassaday (Marvel Comics)
The Star Wars Ongoing – Cheating? Yes. Do I care? No. The main Star Wars book, in both iterations (it recently relaunched to re-orient its timeline, now taking place immediately after Empire Strikes Back, having first launched in 2014 as being set just after A New Hope) has lead to some truly fantastic Star Wars storytelling in the confines of the original trilogy. That’s achieved in how it’s fleshed out details of the Rebellion’s fight against the Empire but also how it’s pushed and pulled Han, Luke, Leia, Vader, and so many other beloved characters in very intriguing ways. It has peaks and valleys, any multi-year comic does, but when it’s at its best, and it often is, it’s amazing.
Kanan – Marvel Comics has sadly not done a lot in the prequel era of Star Wars, beyond one-shots and a few miniseries, but Greg Weisman and Pepe Larraz’s Kanan is probably the best of the bunch. As you might guess, it follows the young Caleb Dune, as he once was known, as he has to deal with the horrifying fallout of Order 66, well before we meet him in Rebels. Come for the insight into one of Rebels’ best characters, stay for the gripping story of a young man suddenly finding his life turned upside down.
Featured image: Del Rey, Marvel Comics